In February 2017, Jasper acquired this vehicle alongside pre-production 1 from Spyker in Zeewolde. The car arrived in a completely disassembled state, with numerous missing parts requiring attention. Pre-production 2, however, wasn't put up for sale; instead, it served exclusively as a test vehicle for Cosworth and as a model for crafting the subsequent generation of Spyker cars.
This particular car boasts distinctive features not found in any other Spyker model. Notably, it sports a bare aluminum chassis, an exhaust system without mufflers, aluminum-faced gauges, and Formula 1-inspired fuel bags similar to those in pre-production 1. The rims on the left and right sides rotate in different directions, and the suspension is adorned with chrome accents. Interestingly, it lacks a lower grill, setting it apart. It is the sole Spyker car painted in the Porsche color midnight blue.
In 2017 Jasper overhauled the engine and gearbox by himself, mileage on the pre production is at 1940km.
All silicone hoses are replaced for OEM new ones. Looking so much better!
Simultaneously, a workshop undertook the restoration of the bodywork. Due to extensive damage to the nose, the decision was made to meticulously construct an entirely new front end, executed in a manner reminiscent of CPP craftsmanship. Importantly, the new nose replicated the standard thickness. Throughout the sanding process, a surprising revelation emerged – despite at least two or three layers of paint on the front end, no dents were discovered beneath the layers. The nose was meticulously sanded down to bare metal to facilitate the fabrication of a new piece.
The results of this restoration effort are nothing short of remarkable, accentuated by a stunning color. Additionally, attention was directed towards the chassis, which underwent a thorough cleaning and sanding process.
These records of crystals were left in the text by mistake =
'''
Version i
DFT (PBE) results for a geometry-optimized Mg4AlZn2 structure.

Geometry as POSCAR:
```
Mg4AlZn2
1.0
2.258 1.304 8.772
-2.258 1.304 8.772
0.000 -2.608 8.772
Mg Al Zn
4 1 2
direct
0.116 0.116 0.116 Mg
0.298 0.298 0.298 Mg
0.702 0.702 0.702 Mg
0.884 0.884 0.884 Mg
0.500 0.500 0.500 Al
0.405 0.405 0.405 Zn
0.595 0.595 0.595 Zn
```

* crystal system: trigonal
* N(E_F): 2.58 states/eV per cell
* space-group type: No. 166
* size of the total moment: 0.00 μB per cell

***

Version ii
DFT (PBE) results for a geometry-optimized Mg4AlZn2 structure.

Geometry as POSCAR:
```
Mg4AlZn2
1.0
2.337 1.350 7.431
-2.337 1.350 7.431
0.000 -2.699 7.431
Mg Al Zn
4 1 2
direct
0.115 0.115 0.115 Mg
0.369 0.369 0.369 Mg
0.631 0.631 0.631 Mg
0.885 0.885 0.885 Mg
0.500 0.500 0.500 Al
0.245 0.245 0.245 Zn
0.755 0.755 0.755 Zn
```

* crystal system: trigonal
* N(E_F): 2.63 states/eV per cell
* space-group type: No. 166
* size of the total moment: 0.00 μB per cell

***

What is the stability order? It is version ii, version i, from most stable to least stable.

***

Version i
DFT (PBE) results for a geometry-optimized MgAlZn4 structure.

Geometry as POSCAR:
```
MgAlZn4
1.0
4.207 0.000 0.000
0.000 6.155 0.000
0.000 0.000 7.790
Mg Al Zn
2 2 8
direct
0.000 0.000 0.000 Mg
0.500 0.500 0.500 Mg
0.000 0.500 0.000 Al
0.500 0.000 0.500 Al
0.000 0.232 0.337 Zn
0.000 0.232 0.663 Zn
0.000 0.768 0.337 Zn
0.000 0.768 0.663 Zn
0.500 0.268 0.163 Zn
0.500 0.268 0.837 Zn
0.500 0.732 0.163 Zn
0.500 0.732 0.837 Zn
```

* crystal system: orthorhombic
* N(E_F): 3.55 states/eV per cell
* space-group type: No. 71
* size of the total moment: 0.00 μB per cell

***

Version ii
DFT (PBE) results for a geometry-optimized MgAlZn4 structure.

Geometry as POSCAR:
```
MgAlZn4
1.0
0.000 3.674 3.674
3.674 0.000 3.674
3.674 3.674 0.000
Mg Al Zn
1 1 4
direct
0.000 0.000 0.000 Mg
0.750 0.750 0.750 Al
0.375 0.375 0.375 Zn
0.375 0.375 0.876 Zn
0.375 0.876 0.375 Zn
0.876 0.375 0.375 Zn
```

* crystal system: cubic
* N(E_F): 1.60 states/eV per cell
* space-group type: No. 216
* size of the total moment: 0.00 μB per cell

***

What is the stability order? It is version ii, version i, from most stable to least stable.

***

Version i
DFT (PBE) results for a geometry-optimized Mg2AlZn3 structure.

Geometry as POSCAR:
```
Mg2AlZn3
1.0
0.000 4.433 7.703
3.097 0.000 7.703
3.097 4.433 0.000
Mg Al Zn
4 2 6
direct
0.248 0.752 0.752 Mg
0.250 0.250 0.250 Mg
0.750 0.750 0.750 Mg
0.752 0.248 0.248 Mg
0.333 0.333 0.667 Al
0.667 0.667 0.333 Al
0.166 0.166 0.834 Zn
0.167 0.668 0.332 Zn
0.332 0.833 0.167 Zn
0.668 0.167 0.833 Zn
0.833 0.332 0.668 Zn
0.834 0.834 0.166 Zn
```

* crystal system: orthorhombic
* N(E_F): 3.87 states/eV per cell
* space-group type: No. 69
* size of the total moment: 0.00 μB per cell

***

Version ii
DFT (PBE) results for a geometry-optimized Mg2AlZn3 structure.

Geometry as POSCAR:
```
Mg2AlZn3
1.0
9.148 0.000 0.000
0.000 5.234 0.000
-2.999 0.000 4.332
Mg Al Zn
4 2 6
direct
0.126 0.000 0.375 Mg
'''
The nose is almost to a point that it can be prepped for paint so the sills are the next step. One can clearly see that the chassisnumber #003 was used to do measurements for the real production units and was called at Spyker "pre production 2".
We found and purchased the exact insulation material since it was degrading and looking dirty. We are removing and renewing all the insulation.
The rear body, front and hood are completely done, stripped of paint and all the dents removed.
A former Spyker mechanic came to our workshop to do some maintenance work on the #003 engine so it is documented.
- timing belt
- thermostat
- waterpump
- all tensioners and roll's
Added the re-anodized anti roll bar and new bolts. Brake canister re-anodized and new canisters fitted from AP-racing.
Suspension and some other parts ready to have a chrome treatment, and look how pretty they became! Such a shame that Spyker stopped using chrome suspension.
Jasper started installing the rear suspension, he found out that a few ball joints are Spyker specific and have made the dust covers that go over the ball joints. Working towards getting the wheels back on, so the #003 can go to a company to reproduce the fuel tanks. The very early CPP’s have fuel cells (bags). In the same time he also started working to get the brand new gearbox in.
After a lot of years, she is finally on her feet again. A before and after picture.